Contents >
A geometry-optimized MgH12SeO10 structure. Source: Materials Project, functional GGA-PBE.

a = 6.3618 Å, b = 6.3618 Å, c = 25.1516 Å
α = 97.10°, β = 97.10°, γ = 71.44°
Closest atoms and distances in Å follow each position.
Fractional positions:
Mg: 0.0000 0.0000 0.0000  6 O 2.06-2.10
Mg: 0.0000 0.0000 0.5000  6 O 2.06-2.10
Mg: 0.0554 0.9446 0.7500  6 O 2.06-2.12
Mg: 0.9446 0.0554 0.2500  6 O 2.06-2.12
H: 0.0040 0.6653 0.6616  1 O 0.99
H: 0.0406 0.6633 0.4205  1 O 0.99
H: 0.0569 0.2742 0.6926  1 O 0.99
H: 0.0676 0.5197 0.7708  1 O 0.98
H: 0.0739 0.3281 0.9494  1 O 0.99
H: 0.0804 0.6725 0.9149  1 O 0.99
H: 0.1085 0.1994 0.8439  1 O 0.98
H: 0.1918 0.6792 0.2962  1 O 1.00
H: 0.1994 0.1085 0.3439  1 O 0.98
H: 0.2468 0.2913 0.0019  1 O 0.98
H: 0.2742 0.0569 0.1926  1 O 0.99
H: 0.2842 0.6918 0.5618  1 O 0.99
H: 0.2851 0.5696 0.8003  1 O 0.99
H: 0.2872 0.6539 0.4467  1 O 0.99
H: 0.2913 0.2468 0.5019  1 O 0.98
H: 0.3082 0.7158 0.9382  1 O 0.99
H: 0.3208 0.8082 0.2038  1 O 1.00
H: 0.3281 0.0739 0.4494  1 O 0.99
H: 0.3275 0.9196 0.5851  1 O 0.99
H: 0.3347 0.9960 0.8384  1 O 0.99
H: 0.3367 0.9594 0.0795  1 O 0.99
H: 0.3461 0.7128 0.0533  1 O 0.99
H: 0.4304 0.7149 0.6997  1 O 0.99
H: 0.4803 0.9324 0.7292  1 O 0.98
H: 0.5197 0.0676 0.2708  1 O 0.98
H: 0.5696 0.2851 0.3003  1 O 0.99
H: 0.6539 0.2872 0.9467  1 O 0.99
H: 0.6633 0.0406 0.9205  1 O 0.99
H: 0.6653 0.0040 0.1616  1 O 0.99
H: 0.6725 0.0804 0.4149  1 O 0.99
H: 0.6719 0.9261 0.5506  1 O 0.99
H: 0.6792 0.1918 0.7962  1 O 1.00
H: 0.6918 0.2842 0.0618  1 O 0.99
H: 0.7087 0.7532 0.4981  1 O 0.98
H: 0.7128 0.3461 0.5533  1 O 0.99
H: 0.7149 0.4304 0.1997  1 O 0.99
H: 0.7158 0.3082 0.4382  1 O 0.99
H: 0.7258 0.9431 0.8074  1 O 0.99
H: 0.7532 0.7087 0.9981  1 O 0.98
H: 0.8005 0.8915 0.6561  1 O 0.98
H: 0.8082 0.3208 0.7038  1 O 1.00
H: 0.8915 0.8005 0.1561  1 O 0.98
H: 0.9196 0.3275 0.0851  1 O 0.99
H: 0.9261 0.6719 0.0506  1 O 0.99
H: 0.9324 0.4803 0.2292  1 O 0.98
H: 0.9431 0.7258 0.3074  1 O 0.99
H: 0.9594 0.3367 0.5795  1 O 0.99
H: 0.9960 0.3347 0.3384  1 O 0.99
Se: 0.3173 0.4172 0.1233  4 O 1.67-1.69
Se: 0.4172 0.3173 0.6233  4 O 1.67-1.69
Se: 0.5828 0.6827 0.3767  4 O 1.67-1.69
Se: 0.6827 0.5828 0.8767  4 O 1.67-1.69
O: 0.0356 0.7382 0.2798  2 H 0.99-1.00
O: 0.0400 0.5380 0.1182  1 Se 1.68, 2 H 1.81-1.85
O: 0.0778 0.1926 0.3192  2 H 0.98-0.99
O: 0.1271 0.7082 0.4527  2 H 0.99
O: 0.1379 0.6365 0.7805  2 H 0.98-0.99
O: 0.1440 0.2282 0.9779  2 H 0.98-0.99
O: 0.1440 0.7805 0.9371  2 H 0.99
O: 0.1502 0.3787 0.6369  1 Se 1.69, 3 H 1.82-1.86
O: 0.1926 0.0778 0.8192  2 H 0.98-0.99
O: 0.2195 0.8560 0.5629  2 H 0.99
O: 0.2282 0.1440 0.4779  2 H 0.98-0.99
O: 0.2618 0.9644 0.2202  2 H 0.99-1.00
O: 0.2918 0.8729 0.0473  2 H 0.99
O: 0.3635 0.8621 0.7195  2 H 0.98-0.99
O: 0.3787 0.1502 0.1369  1 Se 1.69, 3 H 1.82-1.86
O: 0.4063 0.4220 0.0630  1 Se 1.69, 2 H 1.75-1.81
O: 0.4220 0.4063 0.5630  1 Se 1.69, 2 H 1.75-1.81
O: 0.4415 0.5522 0.1718  1 Se 1.67, 2 H 1.71-1.76
O: 0.4478 0.5585 0.3282  1 Se 1.67, 2 H 1.71-1.76
O: 0.4620 0.9600 0.3818  1 Se 1.68, 2 H 1.81-1.85
O: 0.5380 0.0400 0.6182  1 Se 1.68, 2 H 1.81-1.85
O: 0.5522 0.4415 0.6718  1 Se 1.67, 2 H 1.71-1.76
O: 0.5585 0.4478 0.8282  1 Se 1.67, 2 H 1.71-1.76
O: 0.5780 0.5937 0.4370  1 Se 1.69, 2 H 1.75-1.81
O: 0.5937 0.5780 0.9370  1 Se 1.69, 2 H 1.75-1.81
O: 0.6213 0.8498 0.8631  1 Se 1.69, 3 H 1.82-1.86
O: 0.6365 0.1379 0.2805  2 H 0.98-0.99
O: 0.7082 0.1271 0.9527  2 H 0.99
O: 0.7382 0.0356 0.7798  2 H 0.99-1.00
O: 0.7718 0.8560 0.5221  2 H 0.98-0.99
O: 0.7805 0.1440 0.4371  2 H 0.99
O: 0.8074 0.9222 0.1808  2 H 0.98-0.99
O: 0.8498 0.6213 0.3631  1 Se 1.69, 3 H 1.82-1.86
O: 0.8560 0.2195 0.0629  2 H 0.99
O: 0.8560 0.7718 0.0221  2 H 0.98-0.99
O: 0.8621 0.3635 0.2195  2 H 0.98-0.99
O: 0.8729 0.2918 0.5473  2 H 0.99
O: 0.9222 0.8074 0.6808  2 H 0.98-0.99
O: 0.9600 0.4620 0.8818  1 Se 1.68, 2 H 1.81-1.85
O: 0.9644 0.2618 0.7202  2 H 0.99-1.00

Calculated values
Total magnetization, μB per atom: 0.00

Wanted >
Copy all of the rows further above character by character.

Solution >
A geometry-optimized MgH12SeO10 structure. Source: Materials Project, functional GGA-PBE.

a = 6.3618 Å, b = 6.3618 Å, c = 25.1516 Å
α = 97.10°, β = 97.10°, γ = 71.44°
Closest atoms and distances in Å follow each position.
Fractional positions:
Mg: 0.0000 0.0000 0.0000  6 O 2.06-2.10
Mg: 0.0000 0.0000 0.5000  6 O 2.06-2.10
Mg: 0.0554 0.9446 0.7500  6 O 2.06-2.12
Mg: 0.9446 0.0554 0.2500  6 O 2.06-2.12
H: 0.0040 0.6653 0.6616  1 O 0.99
H: 0.0406 0.6633 0.4205  1 O 0.99
H: 0.0569 0.2742 0.6926  1 O 0.99
H: 0.0676 0.5197 0.7708  1 O 0.98
H: 0.0739 0.3281 0.9494  1 O 0.99
H: 0.0804 0.6725 0.9149  1 O 0.99
H: 0.1085 0.1994 0.8439  1 O 0.98
H: 0.1918 0.6792 0.2962  1 O 1.00
H: 0.1994 0.1085 0.3439  1 O 0.98
H: 0.2468 0.2913 0.0019  1 O 0.98
H: 0.2742 0.0569 0.1926  1 O 0.99
H: 0.2842 0.6918 0.5618  1 O 0.99
H: 0.2851 0.5696 0.8003  1 O 0.99
H: 0.2872 0.6539 0.4467  1 O 0.99
H: 0.2913 0.2468 0.5019  1 O 0.98
H: 0.3082 0.7158 0.9382  1 O 0.99
H: 0.3208 0.8082 0.2038  1 O 1.00
H: 0.3281 0.0739 0.4494  1 O 0.99
H: 0.3275 0.9196 0.5851  1 O 0.99
H: 0.3347 0.9960 0.8384  1 O 0.99
H: 0.3367 0.9594 0.0795  1 O 0.99
H: 0.3461 0.7128 0.0533  1 O 0.99
H: 0.4304 0.7149 0.6997  1 O 0.99
H: 0.4803 0.9324 0.7292  1 O 0.98
H: 0.5197 0.0676 0.2708  1 O 0.98
H: 0.5696 0.2851 0.3003  1 O 0.99
H: 0.6539 0.2872 0.9467  1 O 0.99
H: 0.6633 0.0406 0.9205  1 O 0.99
H: 0.6653 0.0040 0.1616  1 O 0.99
H: 0.6725 0.0804 0.4149  1 O 0.99
H: 0.6719 0.9261 0.5506  1 O 0.99
H: 0.6792 0.1918 0.7962  1 O 1.00
H: 0.6918 0.2842 0.0618  1 O 0.99
H: 0.7087 0.7532 0.4981  1 O 0.98
H: 0.7128 0.3461 0.5533  1 O 0.99
H: 0.7149 0.4304 0.1997  1 O 0.99
H: 0.7158 0.3082 0.4382  1 O 0.99
H: 0.7258 0.9431 0.8074  1 O 0.99
H: 0.7532 0.7087 0.9981  1 O 0.98
H: 0.8005 0.8915 0.6561  1 O 0.98
H: 0.8082 0.3208 0.7038  1 O 1.00
H: 0.8915 0.8005 0.1561  1 O 0.98
H: 0.9196 0.3275 0.0851  1 O 0.99
H: 0.9261 0.6719 0.0506  1 O 0.99
H: 0.9324 0.4803 0.2292  1 O 0.98
H: 0.9431 0.7258 0.3074  1 O 0.99
H: 0.9594 0.3367 0.5795  1 O 0.99
H: 0.9960 0.3347 0.3384  1 O 0.99
Se: 0.3173 0.4172 0.1233  4 O 1.67-1.69
Se: 0.4172 0.3173 0.6233  4 O 1.67-1.69
Se: 0.5828 0.6827 0.3767  4 O 1.67-1.69
Se: 0.6827 0.5828 0.8767  4 O 1.67-1.69
O: 0.0356 0.7382 0.2798  2 H 0.99-1.00
O: 0.0400 0.5380 0.1182  1 Se 1.68, 2 H 1.81-1.85
O: 0.0778 0.1926 0.3192  2 H 0.98-0.99
O: 0.1271 0.7082 0.4527  2 H 0.99
O: 0.1379 0.6365 0.7805  2 H 0.98-0.99
O: 0.1440 0.2282 0.9779  2 H 0.98-0.99
O: 0.1440 0.7805 0.9371  2 H 0.99
O: 0.1502 0.3787 0.6369  1 Se 1.69, 3 H 1.82-1.86
O: 0.1926 0.0778 0.8192  2 H 0.98-0.99
O: 0.2195 0.8560 0.5629  2 H 0.99
O: 0.2282 0.1440 0.4779  2 H 0.98-0.99
O: 0.2618 0.9644 0.2202  2 H 0.99-1.00
O: 0.2918 0.8729 0.0473  2 H 0.99
O: 0.3635 0.8621 0.7195  2 H 0.98-0.99
O: 0.3787 0.1502 0.1369  1 Se 1.69, 3 H 1.82-1.86
O: 0.4063 0.4220 0.0630  1 Se 1.69, 2 H 1.75-1.81
O: 0.4220 0.4063 0.5630  1 Se 1.69, 2 H 1.75-1.81
O: 0.4415 0.5522 0.1718  1 Se 1.67, 2 H 1.71-1.76
O: 0.4478 0.5585 0.3282  1 Se 1.67, 2 H 1.71-1.76
O: 0.4620 0.9600 0.3818  1 Se 1.68, 2 H 1.81-1.85
O: 0.5380 0.0400 0.6182  1 Se 1.68, 2 H 1.81-1.85
O: 0.5522 0.4415 0.6718  1 Se 1.67, 2 H 1.71-1.76
O: 0.5585 0.4478 0.8282  1 Se 1.67, 2 H 1.71-1.76
O: 0.5780 0.5937 0.4370  1 Se 1.69, 2 H 1.75-1.81
O: 0.5937 0.5780 0.9370  1 Se 1.69, 2 H 1.75-1.81
O: 0.6213 0.8498 0.8631  1 Se 1.69, 3 H 1.82-1.86
O: 0.6365 0.1379 0.2805  2 H 0.98-0.99
O: 0.7082 0.1271 0.9527  2 H 0.99
O: 0.7382 0.0356 0.7798  2 H 0.99-1.00
O: 0.7718 0.8560 0.5221  2 H 0.98-0.99
O: 0.7805 0.1440 0.4371  2 H 0.99
O: 0.8074 0.9222 0.1808  2 H 0.98-0.99
O: 0.8498 0.6213 0.3631  1 Se 1.69, 3 H 1.82-1.86
O: 0.8560 0.2195 0.0629  2 H 0.99
O: 0.8560 0.7718 0.0221  2 H 0.98-0.99
O: 0.8621 0.3635 0.2195  2 H 0.98-0.99
O: 0.8729 0.2918 0.5473  2 H 0.99
O: 0.9222 0.8074 0.6808  2 H 0.98-0.99
O: 0.9600 0.4620 0.8818  1 Se 1.68, 2 H 1.81-1.85
O: 0.9644 0.2618 0.7202  2 H 0.99-1.00

Calculated values
Total magnetization, μB per atom: 0.00